# Material
~~~
For CoSb2Br2O3, the GGA+U geometry in OQMD gives the simulated XRD peak list in this record (copper Kα).
Intensities are scaled so that the largest is 1000.

Structural model:
```
16
Lattice="5.313 0.000 0.000 1.267 7.692 0.000 1.170 0.019 7.964" Properties=species:S:1:pos:R:3 pbc="T T T"
Co 1.065 3.724 2.315
Co 6.685 3.987 5.649
Sb 4.142 5.430 7.759
Sb 3.817 5.493 4.192
Sb 3.933 2.218 3.772
Sb 3.608 2.281 0.205
Br 1.991 1.576 6.240
Br 1.832 0.972 2.387
Br 5.917 6.739 5.577
Br 5.758 6.135 1.724
O 2.570 3.769 3.758
O 3.155 4.961 6.053
O 2.217 3.715 0.685
O 5.533 3.996 7.279
O 4.595 2.750 1.911
O 5.180 3.942 4.206
```

Principal peaks in the range 10° ≤ 2θ ≤ 80°, low angle first:
| Position (°2θ) | intensity | hkl |
| --- | --- | --- |
| 11.50 | 513 | 0 1 0 |
| 17.09 | 271 | 1 0 0 |
| 23.13 | 414 | 0 2 0 |
| 26.19 | 407 | 1 0 2 |
| 27.50 | 1000 | 1 1 2 |
| 30.18 | 862 | 1 0 -2 |
| 31.09 | 860 | 1 -2 0 |
| 31.38 | 315 | 1 1 -2 |
| 34.67 | 652 | 2 1 0 |
| 36.54 | 639 | 1 3 0 |
| 41.90 | 401 | 0 3 2 |
| 45.57 | 398 | 0 0 4 |

=====

(1)
Simulated X-ray powder pattern of TlCo2Pb2 for CuKα, from a crystal structure in Alexandria, relaxed with PBE.
Peak positions follow from Bragg's law for the DFT cell and can differ from measured ones.

Cell and atoms:
abc: 4.8177 4.8177 9.9330
angles: 90.00 90.00 90.00
Space group I4/mmm (No. 139)
One atom of each set of equivalent atoms:
Tl 0.0000 0.0000 0.0000 [2 per cell]
Co 0.0000 0.0000 0.3901 [4 per cell]
Pb 0.0000 0.5000 0.2500 [4 per cell]

Largest 6 diffraction maxima, in order of rising 2θ, 10° ≤ 2θ ≤ 90°:
d_spacing, I (rel.)
2.809, 100
2.729, 16
2.409, 44
1.729, 15
1.703, 15
1.456, 28

(2)
Simulated X-ray powder pattern of Tm5CoPb4 for CuKα, from a crystal structure in Alexandria, relaxed with PBE.
Peak positions follow from Bragg's law for the DFT cell and can differ from measured ones.

Cell and atoms:
abc: 10.1205 10.1205 5.3498
angles: 90.00 90.00 90.00
Space group I4/mmm (No. 139)
One atom of each set of equivalent atoms:
Tm 0.0000 0.0000 0.0000 [2 per cell]
Tm 0.1761 0.1761 0.5000 [8 per cell]
Co 0.0000 0.0000 0.5000 [2 per cell]
Pb 0.0000 0.3233 0.0000 [8 per cell]

Largest 6 diffraction maxima, in order of rising 2θ, 10° ≤ 2θ ≤ 90°:
d_spacing, I (rel.)
2.854, 100
2.675, 25
2.385, 35
1.780, 29
1.577, 17
1.452, 24

(3)
Simulated X-ray powder pattern of Tm8Co2Pb for CuKα, from a crystal structure in Alexandria, relaxed with PBE.
Peak positions follow from Bragg's law for the DFT cell and can differ from measured ones.

Cell and atoms:
abc: 8.5511 12.9527 5.2778
angles: 90.00 103.44 90.00
Space group C2/m (No. 12)
One atom of each set of equivalent atoms:
Tm 0.0000 0.2488 0.0000 [4 per cell]
Tm 0.1070 0.0000 0.7965 [4 per cell]
Tm 0.2021 0.3676 0.5766 [8 per cell]
Co 0.0000 0.1913 0.5000 [4 per cell]
Pb 0.0000 0.5000 0.0000 [2 per cell]

Largest 6 diffraction maxima, in order of rising 2θ, 10° ≤ 2θ ≤ 90°:
d_spacing, I (rel.)
3.241, 41
2.917, 87
2.739, 100
2.660, 70
2.578, 49
2.555, 77

(4)
Simulated X-ray powder pattern of Tm5CoPb for CuKα, from a crystal structure in Alexandria, relaxed with PBE.
Peak positions follow from Bragg's law for the DFT cell and can differ from measured ones.

Cell and atoms:
abc: 10.9811 6.6907 11.1009
angles: 90.00 110.21 90.00
Space group C2/c (No. 15)
One atom of each set of equivalent atoms:
Tm 0.0000 0.0241 0.2500 [4 per cell]
Tm 0.1210 0.3195 0.0435 [8 per cell]
Tm 0.2115 0.1874 0.6359 [8 per cell]
Co 0.0000 0.0000 0.0000 [4 per cell]
Pb 0.0000 0.4721 0.7500 [4 per cell]

Largest 6 diffraction maxima, in order of rising 2θ, 10° ≤ 2θ ≤ 90°:
d_spacing, I (rel.)
3.158, 33
2.847, 52
2.806, 53
2.734, 100
2.713, 77
2.691, 38

(5)
Simulated X-ray powder pattern of Co2PbW for CuKα, from a crystal structure in Alexandria, relaxed with PBE.
Peak positions follow from Bragg's law for the DFT cell and can differ from measured ones.

Cell and atoms:
abc: 3.1321 3.1303 6.4370
angles: 90.00 90.10 90.00
Space group P2/m (No. 10)
~~~

# Work order
Find the line above that holds "860", then return that line and all lines after it there.

# Reply
| 31.09 | 860 | 1 -2 0 |
| 31.38 | 315 | 1 1 -2 |
| 34.67 | 652 | 2 1 0 |
| 36.54 | 639 | 1 3 0 |
| 41.90 | 401 | 0 3 2 |
| 45.57 | 398 | 0 0 4 |

=====

(1)
Simulated X-ray powder pattern of TlCo2Pb2 for CuKα, from a crystal structure in Alexandria, relaxed with PBE.
Peak positions follow from Bragg's law for the DFT cell and can differ from measured ones.

Cell and atoms:
abc: 4.8177 4.8177 9.9330
angles: 90.00 90.00 90.00
Space group I4/mmm (No. 139)
One atom of each set of equivalent atoms:
Tl 0.0000 0.0000 0.0000 [2 per cell]
Co 0.0000 0.0000 0.3901 [4 per cell]
Pb 0.0000 0.5000 0.2500 [4 per cell]

Largest 6 diffraction maxima, in order of rising 2θ, 10° ≤ 2θ ≤ 90°:
d_spacing, I (rel.)
2.809, 100
2.729, 16
2.409, 44
1.729, 15
1.703, 15
1.456, 28

(2)
Simulated X-ray powder pattern of Tm5CoPb4 for CuKα, from a crystal structure in Alexandria, relaxed with PBE.
Peak positions follow from Bragg's law for the DFT cell and can differ from measured ones.

Cell and atoms:
abc: 10.1205 10.1205 5.3498
angles: 90.00 90.00 90.00
Space group I4/mmm (No. 139)
One atom of each set of equivalent atoms:
Tm 0.0000 0.0000 0.0000 [2 per cell]
Tm 0.1761 0.1761 0.5000 [8 per cell]
Co 0.0000 0.0000 0.5000 [2 per cell]
Pb 0.0000 0.3233 0.0000 [8 per cell]

Largest 6 diffraction maxima, in order of rising 2θ, 10° ≤ 2θ ≤ 90°:
d_spacing, I (rel.)
2.854, 100
2.675, 25
2.385, 35
1.780, 29
1.577, 17
1.452, 24

(3)
Simulated X-ray powder pattern of Tm8Co2Pb for CuKα, from a crystal structure in Alexandria, relaxed with PBE.
Peak positions follow from Bragg's law for the DFT cell and can differ from measured ones.

Cell and atoms:
abc: 8.5511 12.9527 5.2778
angles: 90.00 103.44 90.00
Space group C2/m (No. 12)
One atom of each set of equivalent atoms:
Tm 0.0000 0.2488 0.0000 [4 per cell]
Tm 0.1070 0.0000 0.7965 [4 per cell]
Tm 0.2021 0.3676 0.5766 [8 per cell]
Co 0.0000 0.1913 0.5000 [4 per cell]
Pb 0.0000 0.5000 0.0000 [2 per cell]

Largest 6 diffraction maxima, in order of rising 2θ, 10° ≤ 2θ ≤ 90°:
d_spacing, I (rel.)
3.241, 41
2.917, 87
2.739, 100
2.660, 70
2.578, 49
2.555, 77

(4)
Simulated X-ray powder pattern of Tm5CoPb for CuKα, from a crystal structure in Alexandria, relaxed with PBE.
Peak positions follow from Bragg's law for the DFT cell and can differ from measured ones.

Cell and atoms:
abc: 10.9811 6.6907 11.1009
angles: 90.00 110.21 90.00
Space group C2/c (No. 15)
One atom of each set of equivalent atoms:
Tm 0.0000 0.0241 0.2500 [4 per cell]
Tm 0.1210 0.3195 0.0435 [8 per cell]
Tm 0.2115 0.1874 0.6359 [8 per cell]
Co 0.0000 0.0000 0.0000 [4 per cell]
Pb 0.0000 0.4721 0.7500 [4 per cell]

Largest 6 diffraction maxima, in order of rising 2θ, 10° ≤ 2θ ≤ 90°:
d_spacing, I (rel.)
3.158, 33
2.847, 52
2.806, 53
2.734, 100
2.713, 77
2.691, 38

(5)
Simulated X-ray powder pattern of Co2PbW for CuKα, from a crystal structure in Alexandria, relaxed with PBE.
Peak positions follow from Bragg's law for the DFT cell and can differ from measured ones.

Cell and atoms:
abc: 3.1321 3.1303 6.4370
angles: 90.00 90.10 90.00
Space group P2/m (No. 10)